SwagAI vs Namy.ai

In the battle of SwagAI vs Namy.ai, which AI Branding tool comes out on top? We compare reviews, pricing, alternatives, upvotes, features, and more.



What is SwagAI?

SwagAI is a cutting-edge AI tool that revolutionizes the world of company swag. Gone are the days of boring, uninspiring merchandise - with SwagAI, you can now create and customize truly unique and outrageous items that will make your brand stand out.

Powered by advanced algorithms, SwagAI takes your input and transforms it into a wide range of ridiculous, yet surprisingly practical swag options. Whether you're looking for attention-grabbing t-shirts, wacky office supplies, or quirky promotional items, SwagAI has got you covered. Simply tell us what you're looking for, and our AI-powered system will generate a plethora of wild and innovative ideas.

But SwagAI doesn't just stop at generating ideas. Our platform allows you to customize and personalize every aspect of your swag, ensuring that it perfectly aligns with your brand and captures your target audience's attention. From choosing the colors and materials to adding your company logo or slogan, SwagAI gives you the freedom to create swag that truly reflects your brand's personality and values.

With SwagAI, the possibilities are endless. Whether you want to promote your startup, impress potential clients, or simply inject some fun into your workplace, our AI tool will help you unleash your creativity and create swag that's bound to make a lasting impression.

So why settle for boring, generic company swag when you can have something truly extraordinary? Give SwagAI a try, and let our AI algorithms take your swag game to the next level!

Cs2ScCoCl6: simulated powder X-ray diffraction pattern (Cu Kα), based on a cell relaxed with GGA-PBE.
No peak broadening, texture or thermal motion is included.

```
data_Cs2ScCoCl6
_chemical_formula_sum 'Cs4 Sc2 Co2 Cl12'
_symmetry_space_group_name_H-M 'I 4/m m m'
_symmetry_Int_Tables_number 139
_symmetry_space_group_name_Hall '-I 4 2'
_cell_length_a 7.213
_cell_length_b 7.213
_cell_length_c 10.184
_cell_angle_alpha 90.00
_cell_angle_beta 90.00
_cell_angle_gamma 90.00
loop_
_atom_site_label
_atom_site_type_symbol
_atom_site_fract_x
_atom_site_fract_y
_atom_site_fract_z
Cs1 Cs 0.000 0.500 0.250
Sc1 Sc 0.000 0.000 0.000
Co1 Co 0.000 0.000 0.500
Cl1 Cl 0.000 0.000 0.249
Cl2 Cl 0.249 0.249 0.000
```

Top 8 peaks for 10 to 90 degrees two-theta, by intensity:
- 2θ = 24.7°, intensity 100.0, hkl 2 0 0
- 2θ = 35.2°, intensity 77.2, hkl 2 2 0
- 2θ = 30.4°, intensity 62.7, hkl 2 0 2
- 2θ = 50.6°, intensity 50.7, hkl 4 0 0
- 2θ = 43.5°, intensity 44.2, hkl 3 1 2
- 2θ = 60.2°, intensity 23.5, hkl 4 2 2
- 2θ = 68.9°, intensity 22.4, hkl 5 1 2
- 2θ = 57.1°, intensity 19.7, hkl 4 2 0

GdZr3F15: simulated powder X-ray diffraction pattern (Cu Kα), based on a cell relaxed with GGA-PBE.
No peak broadening, texture or thermal motion is included.

```
data_GdZr3F15
_chemical_formula_sum 'Gd4 Zr12 F60'
_symmetry_space_group_name_H-M 'C 1 2/c 1'
_symmetry_Int_Tables_number 15
_symmetry_space_group_name_Hall '-C 2yc'
_cell_length_a 10.643
_cell_length_b 12.645
_cell_length_c 8.250
_cell_angle_alpha 90.00
_cell_angle_beta 106.32
_cell_angle_gamma 90.00
loop_
_atom_site_label
_atom_site_type_symbol
_atom_site_fract_x
_atom_site_fract_y
_atom_site_fract_z
Gd1 Gd 0.000 0.177 0.250
Zr1 Zr 0.000 0.246 0.750
Zr2 Zr 0.211 0.467 0.327
F1 F 0.000 0.469 0.250
F2 F 0.027 0.253 0.002
F3 F 0.129 0.062 0.150
F4 F 0.140 0.364 0.781
F5 F 0.142 0.134 0.778
F6 F 0.151 0.101 0.472
F7 F 0.152 0.312 0.318
F8 F 0.166 0.484 0.056
```

Top 8 peaks for 10 to 90 degrees two-theta, by intensity:
- 2θ = 22.4°, intensity 100.0, hkl 0 0 2
- 2θ = 22.8°, intensity 39.9, hkl 1 3 0
- 2θ = 44.2°, intensity 27.6, hkl 2 0 -4
- 2θ = 30.4°, intensity 22.9, hkl 1 3 -2
- 2θ = 27.2°, intensity 17.8, hkl 2 2 1
- 2θ = 24.3°, intensity 16.4, hkl 2 0 -2
- 2θ = 44.7°, intensity 14.2, hkl 3 5 0
- 2θ = 52.2°, intensity 10.8, hkl 1 7 -1

Ba2Al4ZnCd3: simulated powder X-ray diffraction pattern (Cu Kα), based on a cell relaxed with GGA-PBE.
No peak broadening, texture or thermal motion is included.

```
data_Ba2Al4ZnCd3
_chemical_formula_sum 'Ba2 Al4 Zn1 Cd3'
_symmetry_space_group_name_H-M 'P -4 m 2'
_symmetry_Int_Tables_number 115
_symmetry_space_group_name_Hall 'P -4 -2'
_cell_length_a 4.665
_cell_length_b 4.665
_cell_length_c 11.712
_cell_angle_alpha 90.00
_cell_angle_beta 90.00
_cell_angle_gamma 90.00
loop_
_atom_site_label
_atom_site_type_symbol
_atom_site_fract_x
_atom_site_fract_y
_atom_site_fract_z
Ba1 Ba 0.000 0.500 0.245
Al1 Al 0.000 0.000 0.500
Al2 Al 0.000 0.500 0.876
Al3 Al 0.500 0.500 0.500
**End of the data records:**



What is Namy.ai?

Namy.ai is a cutting-edge website that leverages the power of AI to provide users with the most advanced name generation algorithm available on the internet. With the use of GPT-4, the latest in artificial intelligence technology, Namy.ai offers a seamless and user-friendly experience for generating names for various purposes.

Whether you are looking to find a unique name for your business, brand, product, or even a fictional character, Namy.ai has you covered. The website's name generation algorithm takes into consideration various factors such as industry, target audience, and desired characteristics to generate captivating and memorable names that align with your specific needs.

Namy.ai stands out from other name generation tools by offering its services completely free of charge. This enables users to explore different name options without any financial constraints. The website also provides a clear and concise interface, making the name generation process effortless and efficient.

In addition to its user-friendly interface, Namy.ai boasts an extensive database of names from various categories, ensuring that users have a diverse range of options to choose from. Whether you are looking for a professional-sounding name, a catchy and creative name, or a name that evokes a specific emotion, Namy.ai has the perfect solution for you.

Furthermore, Namy.ai goes beyond just generating names. The website also provides valuable insights and suggestions to help users narrow down their choices and make an informed decision. By analyzing industry trends and consumer preferences, Namy.ai ensures that the generated names are not only innovative but also resonate with your target audience.

With its AI-powered name generation algorithm, user-friendly interface, extensive name database, and valuable insights, Namy.ai is the ultimate name generation tool for individuals and businesses alike. Whether you are starting a new venture, rebranding an existing one, or simply seeking inspiration, Namy.ai is your go-to resource.

SwagAI Upvotes


Namy.ai Upvotes


SwagAI Category


Namy.ai Category


SwagAI Pricing Type


Namy.ai Pricing Type


SwagAI Technologies Used

Namy.ai Technologies Used

SwagAI Tags

Company Swag
Personalized Merchandise
Creative Ideas

Namy.ai Tags

Inserted here: calculated crystals.
<<<
Entry 1:
Starting from a crystal structure in Alexandria, relaxed with GGA-PBE, the X-ray diffraction stick pattern of Ac3Sn5Rh was calculated for Cu Kα (λ = 1.5418 Å).
Kinematic intensities with the Lorentz-polarization factor, no thermal factor.

Atomic structure:
a b c (Å): 8.1370 8.1370 4.6801
angles (deg): 90.00 90.00 120.00
Space group P-62m (No. 189)
One atom of each set of equivalent atoms:
Ac 0.0000 0.3842 0.0000
Sn 0.0000 0.7738 0.5000
Sn 0.3333 0.6667 0.5000
Rh 0.0000 0.0000 0.0000

The 10 most intense peaks (10° ≤ 2θ ≤ 80°), low angle first:
2θ (°)	I_rel
29.1	100.0
31.8	46.1
33.6	32.2
38.3	26.6
38.5	23.6
38.9	19.4
50.6	15.1
52.0	19.4
55.4	18.6
60.6	18.0

---

Entry 2:
Starting from a crystal structure in Alexandria, relaxed with GGA-PBE, the X-ray diffraction stick pattern of Pm12ScGe6 was calculated for Cu Kα (λ = 1.5418 Å).
Kinematic intensities with the Lorentz-polarization factor, no thermal factor.

Atomic structure:
a b c (Å): 10.359 10.359 10.359
angles (deg): 90.00 90.00 90.00
Space group Im-3 (No. 204)
One atom of each set of equivalent atoms:
Pm 0.000 0.293 0.189
Sc 0.000 0.000 0.000
Ge 0.000 0.120 0.500

The 10 most intense peaks (10° ≤ 2θ ≤ 80°), low angle first:
2θ (°)	I_rel
27.2	26.1
29.9	46.0
32.3	100.0
34.6	20.4
36.8	13.6
44.6	18.5
51.4	34.2
54.6	31.4
63.5	19.3
79.6	16.3

---

Entry 3:
Starting from a crystal structure in Alexandria, relaxed with GGA-PBE, the X-ray diffraction stick pattern of K2CoS2 was calculated for Cu Kα (λ = 1.5418 Å).
Kinematic intensities with the Lorentz-polarization factor, no thermal factor.

Atomic structure:
a b c (Å): 6.817 12.704 5.921
angles (deg): 90.00 90.00 90.00
Space group Ibam (No. 72)
One atom of each set of equivalent atoms:
K 0.167 0.146 0.000
Co 0.000 0.500 0.250
S 0.182 0.401 0.000

The 10 most intense peaks (10° ≤ 2θ ≤ 80°), low angle first:
2θ (°)	I_rel
13.9	60.4
14.7	100.0
24.8	67.1
31.1	63.9
33.8	28.9
34.6	33.3
37.1	28.3
38.8	39.8
40.3	50.7
41.7	62.0

---

Entry 4:
Starting from a crystal structure in Alexandria, relaxed with GGA-PBE, the X-ray diffraction stick pattern of DyZn13 was calculated for Cu Kα (λ = 1.5418 Å).
Kinematic intensities with the Lorentz-polarization factor, no thermal factor.

Atomic structure:
a b c (Å): 12.130 12.130 12.130
angles (deg): 90.00 90.00 90.00
Space group Fm-3c (No. 226)
One atom of each set of equivalent atoms:
Dy 0.250 0.250 0.250
Zn 0.000 0.000 0.000
Zn 0.000 0.121 0.180

The 10 most intense peaks (10° ≤ 2θ ≤ 80°), low angle first:
2θ (°)	I_rel
33.0	50.8
36.3	100.0
44.2	98.9
44.8	20.8
47.4	21.0
54.6	14.0
56.8	15.9
63.2	17.3
70.8	17.5
77.0	15.8

---

Entry 5:
Starting from a crystal structure in Alexandria, relaxed with GGA-PBE, the X-ray diffraction stick pattern of La2Ge2O7 was calculated for Cu Kα (λ = 1.5418 Å).
Kinematic intensities with the Lorentz-polarization factor, no thermal factor.

Atomic structure:
a b c (Å): 6.983 7.148 7.175
angles (deg): 64.16 87.42 88.41
Space group P1 (No. 1)
>>>

Name Generation

Between SwagAI and Namy.ai, which one is superior?

**These materials data were left in the article by mistake**
┌──
Record 1
Diffraction record for Ho2TlAg. The powder XRD pattern is simulated, not measured: it uses a crystal structure in the Materials Project, relaxed with GGA-PBE and a wavelength of 1.5418 Å.
Peak positions follow from Bragg's law for the DFT cell and can differ from measured ones.

Crystal structure
Lattice parameters (Å, degrees): 5.2482 5.2482 5.2482 60.00 60.00 60.00
Fractional coordinates of all 4 atoms:
Ho  0.2500  0.2500  0.2500
Ho  0.7500  0.7500  0.7500
Tl  0.0000  0.0000  0.0000
Ag  0.5000  0.5000  0.5000

Principal peaks in the range 2θ from 10° to 80°, sorted by position:
2theta	I/Imax
20.73	4
34.17	100
40.30	2
49.10	18
53.84	1
61.17	37
65.33	1
71.97	11
75.83	1



Record 2
Diffraction record for HoTmAg2. The powder XRD pattern is simulated, not measured: it uses a crystal structure in the Materials Project, relaxed with GGA-PBE and a wavelength of 1.5418 Å.
Peak positions follow from Bragg's law for the DFT cell and can differ from measured ones.

Crystal structure
Lattice parameters (Å, degrees): 5.1063 5.1063 5.1063 60.00 60.00 60.00
Fractional coordinates of all 4 atoms:
Ho  0.0000  0.0000  0.0000
Tm  0.5000  0.5000  0.5000
Ag  0.2500  0.2500  0.2500
Ag  0.7500  0.7500  0.7500

Principal peaks in the range 2θ from 10° to 80°, sorted by position:
2theta	I/Imax
24.66	4
35.15	100
43.41	1
50.56	18
57.03	2
63.07	36
74.30	11
79.66	1



Record 3
Diffraction record for InAgI2. The powder XRD pattern is simulated, not measured: it uses a crystal structure in the Materials Project, relaxed with GGA-PBE and a wavelength of 1.5418 Å.
Peak positions follow from Bragg's law for the DFT cell and can differ from measured ones.

Crystal structure
Lattice parameters (Å, degrees): 5.7070 5.7070 4.0252 90.00 90.00 90.00
Fractional coordinates of all 4 atoms:
In  0.0000  0.0000  0.0000
Ag  0.5000  0.5000  0.0000
I  0.0000  0.5000  0.5000
I  0.5000  0.0000  0.5000

Principal peaks in the range 2θ from 10° to 80°, sorted by position:
2theta	I/Imax
31.38	100
44.92	12
45.05	6
55.85	37
65.47	11
74.34	11
74.53	5



Record 4
Diffraction record for Rb2InAgI6. The powder XRD pattern is simulated, not measured: it uses a crystal structure in the Materials Project, relaxed with GGA-PBE and a wavelength of 1.5418 Å.
Peak positions follow from Bragg's law for the DFT cell and can differ from measured ones.

Crystal structure
Lattice parameters (Å, degrees): 8.4587 8.4587 8.4587 60.00 60.00 60.00
Fractional coordinates of all 10 atoms:
Rb  0.2500  0.2500  0.2500
Rb  0.7500  0.7500  0.7500
In  0.0000  0.0000  0.0000
Ag  0.5000  0.5000  0.5000
I  0.2483  0.2483  0.7517
I  0.2483  0.7517  0.2483
I  0.2483  0.7517  0.7517
I  0.7517  0.2483  0.2483
I  0.7517  0.2483  0.7517
I  0.7517  0.7517  0.2483

Principal peaks in the range 2θ from 10° to 80°, sorted by position:
2theta	I/Imax
14.81	38
25.80	71
29.88	100
33.50	21
42.76	74
50.62	33
53.04	26
68.36	13
70.40	33
78.31	25



Record 5
└──

Upon comparing SwagAI with Namy.ai, which are both AI-powered branding tools, The upvote count reveals a draw, with both tools earning the same number of upvotes. Be a part of the decision-making process. Your vote could determine the winner.

Feeling rebellious? Cast your vote and shake things up!

By Rishit